### Given
____________
Record 1
Below is BaCaPb2 at its PBEsol-relaxed geometry, with properties calculated at the meta-GGA SCAN level. Values from VASP.

Cell and atoms, written as Quantum ESPRESSO input:
```
&SYSTEM
  ibrav = 0, nat = 4, ntyp = 3
/
ATOMIC_SPECIES
Ca 40.08 Ca.upf
Pb 207.20 Pb.upf
Ba 137.33 Ba.upf
CELL_PARAMETERS angstrom
-0.5113 3.1667 1.6883
-5.9640 -0.2979 -1.2475
0.5808 -2.7837 5.3970
ATOMIC_POSITIONS crystal
Ca 0.5000 0.5000 0.5000
Pb 0.0000 0.0000 0.5000
Pb 0.0000 0.5000 0.0000
Ba 0.5000 0.0000 0.0000
```

Calculated values
total magnetic moment	0.0	μB per cell
V	32.6	Å³ per atom
total energy	-50.85	eV/atom

***

Record 2
Below is Fe2CuSe at its PBEsol-relaxed geometry, with properties calculated at the meta-GGA SCAN level. Values from VASP.

Cell and atoms, written as Quantum ESPRESSO input:
```
&SYSTEM
  ibrav = 0, nat = 4, ntyp = 3
/
ATOMIC_SPECIES
Fe 55.84 Fe.upf
Se 78.96 Se.upf
Cu 63.55 Cu.upf
CELL_PARAMETERS angstrom
3.6355 0.0000 0.0000
0.0000 3.6355 0.0000
-1.8178 -1.8178 3.8290
ATOMIC_POSITIONS crystal
Fe 0.7500 0.2500 0.5000
Fe 0.2500 0.7500 0.5000
Se 0.5000 0.5000 0.0000
Cu 0.0000 0.0000 0.0000
```

Calculated values
total magnetic moment	6.1	μB per cell
V	12.7	Å³ per atom
total energy	-17.69	eV/atom

***

Record 3
Below is TaReRhAu2 at its PBEsol-relaxed geometry, with properties calculated at the meta-GGA SCAN level. Values from VASP.

Cell and atoms, written as Quantum ESPRESSO input:
```
&SYSTEM
  ibrav = 0, nat = 5, ntyp = 4
/
ATOMIC_SPECIES
Ta 180.95 Ta.upf
Rh 102.91 Rh.upf
Au 196.97 Au.upf
Re 186.21 Re.upf
CELL_PARAMETERS angstrom
-1.1065 -4.1555 -1.7564
3.2082 -2.1246 3.0055
-3.4920 -0.4971 3.3761
ATOMIC_POSITIONS crystal
Ta 0.5000 0.0000 0.0000
Rh 0.5000 0.5000 0.5000
Au 0.0000 0.5000 0.0000
Au 0.0000 0.0000 0.5000
Re 0.0000 0.0000 0.0000
```

Calculated values
total magnetic moment	1.0	μB per cell
V	22.1	Å³ per atom
total energy	-60.34	eV/atom

***

Record 4
Below is CaZn2FeW at its PBEsol-relaxed geometry, with properties calculated at the meta-GGA SCAN level. Values from VASP.

Cell and atoms, written as Quantum ESPRESSO input:
```
&SYSTEM
  ibrav = 0, nat = 5, ntyp = 4
/
ATOMIC_SPECIES
W 183.84 W.upf
Zn 65.41 Zn.upf
Fe 55.84 Fe.upf
Ca 40.08 Ca.upf
CELL_PARAMETERS angstrom
4.0904 0.0000 0.0000
0.0000 4.6287 0.0000
0.0000 0.0000 4.6287
ATOMIC_POSITIONS crystal
W 0.5000 0.5000 0.5000
Zn 0.0000 0.5000 0.0000
Zn 0.0000 0.0000 0.5000
Fe 0.5000 0.0000 0.0000
Ca 0.0000 0.0000 0.0000
```

Calculated values
total magnetic moment	1.9	μB per cell
V	17.5	Å³ per atom
total energy	-22.66	eV/atom

***

Q: Number 2 is which compound?
A: Fe2CuSe


1.
VASP calculation (PBE) on crystalline CeNiH8Ir2 at its relaxed geometry.

Lattice parameters (Å, degrees): 4.703 4.703 5.872 66.39 66.39 60.00
Fractional positions:
Ni 0.000 0.000 0.000
Ir 0.713 0.713 0.860
H 0.059 0.059 0.239
H 0.817 0.817 0.548
Ir 0.287 0.287 0.140
H 0.059 0.643 0.239
H 0.941 0.941 0.761
H 0.183 0.183 0.452
H 0.357 0.941 0.761
H 0.941 0.357 0.761
H 0.643 0.059 0.239
Ce 0.500 0.500 0.500

Computed properties:
Density of states at the Fermi level   0.4826 states/eV/atom
Crystal system   trigonal
Volume   100 Å³/cell
VASP energy   -4.869 eV per atom

---

2.
VASP calculation (PBE) on crystalline CeNi2H8Ir at its relaxed geometry.

Lattice parameters (Å, degrees): 4.512 4.512 6.093 68.27 68.27 60.00
Fractional positions:
H 0.718 0.086 0.834
H 0.639 0.282 0.166
Ce 0.500 0.500 0.500
H 0.820 0.820 0.541
H 0.361 0.718 0.834
H 0.914 0.639 0.166
Ni 0.274 0.274 0.178
H 0.086 0.361 0.834
H 0.282 0.914 0.166
H 0.180 0.180 0.459
Ir 0.000 0.000 0.000
Ni 0.726 0.726 0.822

Computed properties:
Density of states at the Fermi level   0.4637 states/eV/atom
Crystal system   trigonal
Volume   97 Å³/cell
VASP energy   -4.620 eV per atom

---

Question: Number 1 is which compound?
Answer: CeNiH8Ir2

---

Question: Among the records above, which one has the highest density of states at the Fermi level?
Answer: CeNiH8Ir2
____________

### Job
It remains to echo the rows above from the line with "207.20 Pb.upf" to the end exactly.

### Worked solution
Pb 207.20 Pb.upf
Ba 137.33 Ba.upf
CELL_PARAMETERS angstrom
-0.5113 3.1667 1.6883
-5.9640 -0.2979 -1.2475
0.5808 -2.7837 5.3970
ATOMIC_POSITIONS crystal
Ca 0.5000 0.5000 0.5000
Pb 0.0000 0.0000 0.5000
Pb 0.0000 0.5000 0.0000
Ba 0.5000 0.0000 0.0000
```

Calculated values
total magnetic moment	0.0	μB per cell
V	32.6	Å³ per atom
total energy	-50.85	eV/atom

***

Record 2
Below is Fe2CuSe at its PBEsol-relaxed geometry, with properties calculated at the meta-GGA SCAN level. Values from VASP.

Cell and atoms, written as Quantum ESPRESSO input:
```
&SYSTEM
  ibrav = 0, nat = 4, ntyp = 3
/
ATOMIC_SPECIES
Fe 55.84 Fe.upf
Se 78.96 Se.upf
Cu 63.55 Cu.upf
CELL_PARAMETERS angstrom
3.6355 0.0000 0.0000
0.0000 3.6355 0.0000
-1.8178 -1.8178 3.8290
ATOMIC_POSITIONS crystal
Fe 0.7500 0.2500 0.5000
Fe 0.2500 0.7500 0.5000
Se 0.5000 0.5000 0.0000
Cu 0.0000 0.0000 0.0000
```

Calculated values
total magnetic moment	6.1	μB per cell
V	12.7	Å³ per atom
total energy	-17.69	eV/atom

***

Record 3
Below is TaReRhAu2 at its PBEsol-relaxed geometry, with properties calculated at the meta-GGA SCAN level. Values from VASP.

Cell and atoms, written as Quantum ESPRESSO input:
```
&SYSTEM
  ibrav = 0, nat = 5, ntyp = 4
/
ATOMIC_SPECIES
Ta 180.95 Ta.upf
Rh 102.91 Rh.upf
Au 196.97 Au.upf
Re 186.21 Re.upf
CELL_PARAMETERS angstrom
-1.1065 -4.1555 -1.7564
3.2082 -2.1246 3.0055
-3.4920 -0.4971 3.3761
ATOMIC_POSITIONS crystal
Ta 0.5000 0.0000 0.0000
Rh 0.5000 0.5000 0.5000
Au 0.0000 0.5000 0.0000
Au 0.0000 0.0000 0.5000
Re 0.0000 0.0000 0.0000
```

Calculated values
total magnetic moment	1.0	μB per cell
V	22.1	Å³ per atom
total energy	-60.34	eV/atom

***

Record 4
Below is CaZn2FeW at its PBEsol-relaxed geometry, with properties calculated at the meta-GGA SCAN level. Values from VASP.

Cell and atoms, written as Quantum ESPRESSO input:
```
&SYSTEM
  ibrav = 0, nat = 5, ntyp = 4
/
ATOMIC_SPECIES
W 183.84 W.upf
Zn 65.41 Zn.upf
Fe 55.84 Fe.upf
Ca 40.08 Ca.upf
CELL_PARAMETERS angstrom
4.0904 0.0000 0.0000
0.0000 4.6287 0.0000
0.0000 0.0000 4.6287
ATOMIC_POSITIONS crystal
W 0.5000 0.5000 0.5000
Zn 0.0000 0.5000 0.0000
Zn 0.0000 0.0000 0.5000
Fe 0.5000 0.0000 0.0000
Ca 0.0000 0.0000 0.0000
```

Calculated values
total magnetic moment	1.9	μB per cell
V	17.5	Å³ per atom
total energy	-22.66	eV/atom

***

Q: Number 2 is which compound?
A: Fe2CuSe


1.
VASP calculation (PBE) on crystalline CeNiH8Ir2 at its relaxed geometry.

Lattice parameters (Å, degrees): 4.703 4.703 5.872 66.39 66.39 60.00
Fractional positions:
Ni 0.000 0.000 0.000
Ir 0.713 0.713 0.860
H 0.059 0.059 0.239
H 0.817 0.817 0.548
Ir 0.287 0.287 0.140
H 0.059 0.643 0.239
H 0.941 0.941 0.761
H 0.183 0.183 0.452
H 0.357 0.941 0.761
H 0.941 0.357 0.761
H 0.643 0.059 0.239
Ce 0.500 0.500 0.500

Computed properties:
Density of states at the Fermi level   0.4826 states/eV/atom
Crystal system   trigonal
Volume   100 Å³/cell
VASP energy   -4.869 eV per atom

---

2.
VASP calculation (PBE) on crystalline CeNi2H8Ir at its relaxed geometry.

Lattice parameters (Å, degrees): 4.512 4.512 6.093 68.27 68.27 60.00
Fractional positions:
H 0.718 0.086 0.834
H 0.639 0.282 0.166
Ce 0.500 0.500 0.500
H 0.820 0.820 0.541
H 0.361 0.718 0.834
H 0.914 0.639 0.166
Ni 0.274 0.274 0.178
H 0.086 0.361 0.834
H 0.282 0.914 0.166
H 0.180 0.180 0.459
Ir 0.000 0.000 0.000
Ni 0.726 0.726 0.822

Computed properties:
Density of states at the Fermi level   0.4637 states/eV/atom
Crystal system   trigonal
Volume   97 Å³/cell
VASP energy   -4.620 eV per atom

---

Question: Number 1 is which compound?
Answer: CeNiH8Ir2

---

Question: Among the records above, which one has the highest density of states at the Fermi level?
Answer: CeNiH8Ir2